That Youtube video sucked.... jk... I am actually looking forward to seeing this, see what Ben Stein has to say.
Well, I'm not sure what the "topic" is that you think will be interesting....that the onus is on those who believe in religion to prove it or the movie itself, or being expelled. The trailer didn't say much about the movie and you chose not to elaborate on what you thought should provoke discussion. I think a lot of people don't watch the videos if there's no 'teaser' to let us know what it's about...I didn't until this morning and I saw the post minutes after you put it up. I figured I'd wait until someone else saw it and started discussing the 'interesting topic'....and I still don't know what that topic is.
Me neither. I watched the video, and couldn't figure out what it was about. The music had a nice beat, though. I think the same music was used as a theme song for a movie about a Marine who has to baby-sit some kids.
Meh. What is there to discuss? It's a Pro-ID (Intelligent Design) movie. The only thing that is really notable about it (other than having Ferris Bueller's teacher) is that they lied to a bunch of evolutionary biologists to trick them into doing interviews for the movie. Also of note is that the producers/creators are not very good at prioritizing who they let in and who they kick out of their premieres.
Ah, Michael Moore gone Christian extremist kinda thing. I love the lucid description of the deception gone to to get the interview with the Pharyngula guy...then they don't let him in the Premier! Awesome. I'm sure this'll play at every church in the country to make them feel self-important and rightous....the excitement over the trashing of Golden Compass has just started to ebb.
I'm still trying to figure out why Stein is dressed as Angus Young, of the band AC/DC. I'll bet he doesn't jam NEARLY as well, though.
Not at my church it won't. Actually, though the creationist know-nothings are very vocal, I believe a minority of churches, even a minority of Christian churches, reject evolution. Catholics and most mainstream Protestants accept evolution.
The only trickery I see here is that the evolutionists would have changed their answers to fit the topic. Now that’s tricky!!! LOL! Also it doesn't seem to be a propaganda film in support of ID but more a documentary film about how ideas are stifled within academia. This is a great reply to PZ Myers blog cite. Evolution News & Views: Why P. Z. Myers should be wearing the short pants and sneakers Wildkow
You don't think it's appropriate to be informed about the purpose of an interview? You don't think it's OK to change your answers depending upon the target audience? If I'm interviewed about a medical topic under the premise that it'll be informational for general consumer use my answers to the questions will be stated in a far different way than if the information is intended for other medical professionals. I'll use common words to keep things simple. Played to an audience of medical professionals who are told that I am an expert in the topic I'll sound like a total idiot with no credibility. I see this situation as identical. He was told a lie about how the interview would be used and he 'dumbed down' his replies for the purpose he was told to expect. So yea, he's gonna come across as a bit of a duffus when the material is placed in an entirely different context than he modeled his replies for. It's not a small matter. If you think this is a fair way to conduct an interview I assume you have no issue with the Michael Moore films either?!:lie:
The very article quoted in the OP and relied on for the “Tricked†allegation says that this letter was sent to solicit each interviewee. . . “We are interested in asking you a number of questions about the disconnect/controversy that exists in America between Evolution, Creationism and the Intelligent Design movement.†The purpose of the interview and the purpose of the movie seem pretty much in line. They must have been awfully tricky questions because each one of them signed a release form, allegedly received a generous honoraria, cashed the honoraria checks and spent the money. Not to mention the fact that the interviewer went over all the questions beforehand and e-mailed them out to many of the interviewees beforehand. It sounds to me like a few of them were tricked into making long unedited denouncements of Christianity and/or tricked into giving honest answers that they now regret, LOL! “there could have been a designer of life on earth, but it would have had to have been “a higher intelligence†that had itself evolved “to a very high level . . . and seeded some form of life on this planet.†– Richard Dawkins. IMO and from what I have read so far the documentary is not just a look at or a critique of the limitations of The Origin of Species, but an attempt to uncover the mindset that Darwinism has engendered in those whose agenda is to replace God or traditional understandings of God. It is a movie more about anti-censorship than anti-science or anti-evolution. Tell you what why don’t we go watch it and then comment on it this weekend? BTW your example is nothing at all like the example before us and I know you too well to believe that you could not talk at the level of a layperson and a professional during the same interview. Give me a break. I can’t tell you how many countless hours of Educational TV I have watched where the interviewee has done just that. Example: Carl Sagan. The impetus for the movie came about when “co-producer and software engineer Walt Ruloff, . . . was working on a project with a group of biotechnologists and learned “that there was a whole series of questions that could not be asked.†The prevailing ideology among many scientists—it turned out—he concluded, was keep your mouth shut, take the research money, and publish only the data that fits with “the party line.†The issue that concerns Ruloff and the others behind Expelled is whether the scientific establishment in this country is going to allow genuine “freedom of inquiry,†or simply shut up—and slander—those who do not toe the line.†Wildkow
That's what you said. Now watch how it can be edited to say something different: I'll play editor, and you can be an interviewee: Wildkow, on the movie, "Expelled: No Intelligence Allowed": "It sounds to me like [a movie about] Christianity, giving honest answers that they now regret. IMO and from what I have read so far the documentary is about anti-science; the prevailing ideology is simply shut up—and slander—those who do not toe the line.†I didn't add a thing. That's what you meant...right?
It is a movie more about anti-censorship than anti-science or anti-evolution. Tell you what why don’t we go watch it and then comment on it this weekend? I agree. Objectively speaking, to me it would make sense logically to go and see the movie and then comment. Otherwise we are not making comments in the true context of what the writers intended to say, whether we agree with them or not.....we are simply making comments based on what our preconceived biases and assumptions may be. Intellectual honesty would suggest to me that we all see the movie and then discuss.
### Misplaced calculated molecules
********
Record 1
Computed, not measured: a molecular structure, C41H48BF2GeO2RbSb2 at a distorted geometry, with wB97M-V/def2-TZVPD.

Element x y z (Å)
Rb  -0.414  0.415  2.003
C  -2.415  -3.211  3.884
Sb  -2.772  -2.000  2.158
C  -3.580  -3.635  1.003
C  -4.684  -1.307  2.914
C  -5.502  -0.476  1.960
C  -6.200  -1.145  0.946
C  -6.993  -0.480  0.028
C  -7.114  0.903  0.116
C  -6.432  1.579  1.113
C  -5.611  0.924  2.042
C  -4.872  1.758  3.058
Sb  -3.008  2.673  2.345
C  -3.920  4.595  1.961
C  -3.170  2.043  0.291
H  -3.342  -3.713  4.167
H  -2.060  -2.574  4.696
H  -1.650  -3.957  3.660
H  -4.393  -4.129  1.544
H  -2.779  -4.358  0.826
H  -3.947  -3.282  0.036
H  -4.432  -0.790  3.838
H  -5.219  -2.224  3.166
H  -6.115  -2.227  0.893
H  -7.516  -1.034  -0.742
H  -7.736  1.449  -0.585
H  -6.525  2.660  1.186
H  -4.587  1.205  3.950
H  -5.487  2.608  3.357
H  -4.778  4.507  1.289
H  -3.175  5.254  1.508
H  -4.241  5.037  2.906
H  -4.060  2.469  -0.176
H  -3.232  0.951  0.219
H  -2.275  2.371  -0.244
C  4.650  -2.725  5.098
C  3.612  -1.850  5.406
C  3.062  -1.040  4.416
C  3.542  -1.072  3.098
C  4.581  -1.964  2.809
C  5.132  -2.781  3.795
Ge  2.694  0.112  1.731
C  3.539  1.871  2.136
C  3.141  3.004  1.417
C  3.708  4.254  1.651
C  4.685  4.400  2.630
C  5.088  3.290  3.364
C  4.519  2.042  3.117
C  3.714  -0.428  0.083
C  4.625  0.404  -0.579
C  5.245  0.015  -1.766
C  4.977  -1.231  -2.321
C  4.077  -2.079  -1.681
C  3.451  -1.673  -0.506
H  5.075  -3.362  5.866
H  3.219  -1.810  6.416
H  2.226  -0.393  4.670
H  4.978  -2.016  1.803
H  5.940  -3.461  3.544
H  2.374  2.908  0.653
H  3.384  5.115  1.076
H  5.126  5.372  2.824
H  5.848  3.394  4.131
H  4.851  1.187  3.696
H  4.863  1.376  -0.158
H  5.944  0.685  -2.256
H  5.459  -1.536  -3.243
H  3.852  -3.051  -2.107
H  2.726  -2.339  -0.044
F  -0.448  1.756  4.193
C  -0.849  0.491  4.796
F  -2.123  0.245  3.964
H  -1.330  0.854  5.713
C  1.713  0.326  -7.564
C  0.916  -0.794  -6.882
C  -0.348  -1.091  -7.701
C  1.786  -2.052  -6.869
C  0.519  -0.355  -5.470
C  -0.253  0.801  -5.304
C  -0.634  1.274  -4.048
C  -0.215  0.546  -2.962
O  -0.421  0.791  -1.616
B  0.241  -0.242  -0.950
O  0.813  -1.123  -1.859
C  0.530  -0.597  -3.106
C  0.916  -1.074  -4.336
H  2.024  0.013  -8.566
H  2.609  0.571  -6.985
H  1.121  1.239  -7.664
H  -0.078  -1.404  -8.715
H  -0.990  -0.210  -7.779
H  -0.931  -1.891  -7.236
H  2.053  -2.320  -7.895
H  1.261  -2.904  -6.428
H  2.714  -1.896  -6.311
H  -0.566  1.363  -6.177
H  -1.224  2.175  -3.932
H  1.520  -1.969  -4.394

Multiplicity: 2
Orbital gap (alpha / beta) in eV: 6.116 / 5.383
Total charge: -1
Energy above the lowest of the compared OMol25 structures with the same formula, charge and spin in kJ/mol: 258.50
HOMO (alpha / beta) in eV: -4.0 / -3.8



Record 2
Computed, not measured: a molecular structure, C5H9N2O at a distorted geometry, with wB97M-V/def2-TZVPD.

Element x y z (Å)
C  -0.861  -1.205  0.001
C  0.437  -1.389  0.131
C  0.475  0.797  -0.221
********
maybe someone can review it, but geez, i still can't figure out what angle they're presenting from. if it's from the id/anti-evolution camp... there is no way to produce scientific evidence for god or for a designer or whatever you would like to call it. it is not within the realm of scientific study, so no time, no funding, and no publications are expended upon the cause. if it's about scientific selectivity in research, let's keep in mind that the NIH operating budget isn't even keeping up with inflation, and many prominent scientists (and promising new researchers) cannot get funding to do what they really believe will work. they are forced to stick with what is less risky and more fundable, vs reaching for the limit of what is possible. a sad state given what we're really capable of doing with such brilliant minds and great technology.
I think the fact that they tricked the evolutionary biologists into interviewing for the movie is an important point not because the biologists would necessary change their "story," but because they should be given the option of choosing whether or not they want to participate in the type of movie that was being produced. They were led to believe that it was going to be a balanced look at the interface between religion and science in today's culture. Instead, it is a pro-ID movie that takes the comments of the evolutionary biologists out of context and intersperses clips of goose-stepping Nazis with the interview clips (I know! I know! "Goodwin's Law" should be invoked but it's actually in the movie). So, while the biologists wouldn't change their answers, they sure as hell would be much more careful with what they say if they knew it was for a pro-ID movie (and, perhaps, refuse to do the interview at all since they know their comments would be taken out of context). It's like the reporters that occationally pop up on Priuschat from time to time that are looking to interview people about their experiences with the car. People always warn anyone that looks to do an interview that they need to be careful about possible ulterior motives of the interviewers. If I'm giving someone a "fair and balanced" review of the Prius, I'm likely to be very up-front with them about how the mileage really dips in the winter (particularly if you take short trips), but that it's still much better than almost any other car in those circumstances. However, if I knew a reporter was doing a story about how the Prius's gas mileage didn't "live up to the hype," I might be much more hesitant to bring that up right away since I know my words would be twisted so the headline was, "Local Prius Owner Disappointed Car Only Gets 35 MPG!!!!" So, it's not that the story is going to "change" if they know who their interviewers are; it's just that you have to be a whole lot more careful about what you say since you know what you say will be quoted out of context and distorted (as PZ Meyers, Richard Dawkins, and others were in this case).